# File
- - -
# LiMn2P3O12
Calculated powder diffractogram, Cu Kα. Input: DFT lattice parameters and positions (PBE+U).
Kinematic intensities with the Lorentz-polarization factor, no thermal factor.

Top 8 peaks for 2θ from 10° to 90°, sorted by position:
d_spacing  I/Imax  h k l
6.024  27  0 1 1
5.977  72  1 0 1
4.369  100  1 1 2
3.603  92  1 2 2
3.578  46  2 1 0
3.012  26  0 2 2
2.988  54  2 0 2
2.750  54  1 2 -1

Cell and atoms:
Lattice parameters (Å, degrees): 8.184 8.259 8.762 62.02 62.25 60.31
Space group P-1 (No. 2)
Symmetry-distinct sites (fractional):
1 Li 0.248 0.428 0.133 [2 per cell]
2 Mn 0.142 0.647 0.570 [2 per cell]
3 Mn 0.349 0.854 0.948 [2 per cell]
4 P 0.037 0.249 0.748 [2 per cell]
5 P 0.252 0.031 0.249 [2 per cell]
6 P 0.467 0.534 0.749 [2 per cell]
7 O 0.017 0.296 0.564 [2 per cell]
8 O 0.107 0.400 0.735 [2 per cell]
9 O 0.113 0.241 0.262 [2 per cell]
10 O 0.170 0.710 0.102 [2 per cell]
11 O 0.179 0.037 0.797 [2 per cell]
12 O 0.197 0.882 0.435 [2 per cell]
13 O 0.214 0.015 0.100 [2 per cell]
14 O 0.259 0.622 0.732 [2 per cell]
15 O 0.374 0.500 0.427 [2 per cell]
16 O 0.466 0.009 0.204 [2 per cell]
17 O 0.466 0.340 0.914 [2 per cell]
18 O 0.499 0.675 0.794 [2 per cell]
- - -

# Assignment
Say how many lines of the listing above hold the word "by", as a bare number.

# Outcome
1